Disability Discrimination at the World Bank: Is it Immunity or Impunity?

By  Thalif Deen * 

UNITED NATIONS, Apr 6 2021 (IPS) – The 15,900-strong World Bank, which has funded over 12,000 development projects worldwide since 1947, is an international institution with a superlative reputation for its sustained efforts to end poverty in the developing world—with loans, interest-free credit and outright grants.

But it has come under heavy fire for its blatant violations of disability rights—an area where no US labour laws are applicable because the Washington-based institution enjoys diplomatic immunity.

Speaking on condition of anonymity, a spokesperson for the Disability Support Group at the World Bank told IPS the Bank has been hiding behind its diplomatic immunity for decades to cover up abuse of staff ranging from sexual harassment to institutional discrimination against its most vulnerable disabled staff.

“There is absolutely no national or international accountability framework that the World Bank can be held accountable to – neither the UN Convention on the Rights of the Persons with Disabilities nor the American with Disabilities Act (ADA).”

“We have cases and irrefutable evidence of serious and consistent disability abuse and harassment of staff, conflict of interest, lack of transparency and accountability – the very values and conditionality for World Bank projects.”

Andre Hovaguimian, a former Director of the International Finance Corporation, Middle East & North Africa, a sister organization of the World Bank, told IPS: “The World Bank’s treatment of staff injured in the line of duty has been and continues to be deplorable.”

“Staff injured in the line of duty, taking risks to do the Bank’s business, should be treated with care and respect. The Bank’s diplomatic immunity should no longer be used to abuse the disabled,” said Hovaguimian.

Currently more than one billion people worldwide – including an estimated 800 million in developing countries – experience some form of disability, according to the World Report on Disability authored jointly by the World Bank (WB) and World Health Organization (WHO).

“Persons with disabilities face stigma, discrimination, and exclusion from accessing jobs and services, such as education and health care, and they consistently fare less well than their non-disabled peers in development gains,” said the study.

The charges of discrimination have come up at a time when the World Bank is holding its annual 2021 Spring Meetings in Washington DC. The meetings, which began April 5 will continue through April 11.

Two disabled former staff members told IPS they could speak only on condition of anonymity due to fears of retaliation and losing their medical coverage as disabled persons.

“When I was denied worker’s compensation against the findings from five reputable doctors, I was told that “As an international organization established under its Articles of Agreement, the World Bank Group has been granted certain privileges and immunities under U.S. laws.”

“I feel discouraged, bullied and abused. It is a case of David against Goliath, with the most vulnerable and handicapped having to fight a disability program that has no proper Governance, Accountability or Transparency. There is no justice for the disabled at the World Bank”, he complained.

“The World Bank is evading accountability and oversight of its disability program by saying it is not subject of either UN Conventions or US disability laws while keeping its own Executive Board in the dark”

The other former staff member who has previously been disabled confirmed: “I was harassed to the point of breakdown. The disability program is managed completely arbitrarily with secret procedures not shared with staff but used against them”.

“I am really sick of this hypocrisy where the World Bank lectures developing countries on disability inclusion while it discriminates shamelessly against its own disabled. While an independent grievance mechanism is mandatory for all projects, the WB refuses to allow its disabled staff the same opportunity,” he declared.

Asked for an official reaction, a World Bank spokesperson told IPS: “The World Bank Group is committed to ensuring the health and safety of our staff and their families. Our benefits, policies and track record over the years demonstrate this commitment”.

“Our self-insured insurance programs include disability and worker’s compensation programs, which provide comprehensive benefits to staff injured in the line of duty, or those that are unable to work due to a disabling condition occurring outside of the work environment”.

“Given the global footprint of the organization, as well as its presence in a number of high-risk environments, the Bank Group made the decision many years ago to self-insure these benefits. This was necessary to ensure all staff are covered, regardless of duty station, as some carriers may not support or be present in many of the markets in which the Bank Group operates, which are amongst the poorest nations in the world.”

“We regularly review our benefits and processes to ensure we meet the needs of staff and their families, taking input from plan beneficiaries and stakeholders,” the spokesperson added.

“The World Bank integrates disability issues into its operations around the world across a wide range of sectors, including promoting access to infrastructure facilities and social services, rehabilitation, skills development, creating economic opportunities, and working with Organizations of Persons with Disabilities. This is at the core of the World Bank’s work to build sustainable, inclusive communities, aligned with the institution’s goals to end extreme poverty and promote shared prosperity,” the Bank’s spokesperson declared.

== Misplaced materials data ==
Entry 1:
Entry from Alexandria via LeMat-Bulk: a geometry-optimized BaY4Pb3O12 structure (PBE).

Output
symmetry	Im-3
D(E_F)	9.188	states/eV per cell
energy relative to the elements, uncorrected	-4439	kJ/mol of formula units
calculated volume	318.06	Å³ per cell
crystal system	cubic
magnetic moment	1.9	μB per cell

Cell lengths 7.4480, 7.4480, 7.4480 Å; angles 109.47, 109.47, 109.47 degrees
Each line ends with the local moment (μB).
Atoms (fractional coordinates):
O: 0.8206 0.1263 0.3057  0.10
Ba: 0.0000 0.0000 0.0000  0.00
O: 0.1794 0.8737 0.6943  0.10
Pb: 0.0000 0.5000 0.5000  0.12
O: 0.3057 0.1794 0.4852  0.10
O: 0.8737 0.6943 0.1794  0.10
O: 0.1263 0.3057 0.8206  0.10
Y: 0.0000 0.0000 0.5000  0.01
O: 0.4852 0.3057 0.1794  0.10
O: 0.1794 0.4852 0.3057  0.10
O: 0.6943 0.1794 0.8737  0.10
Pb: 0.5000 0.0000 0.5000  0.12
Y: 0.5000 0.0000 0.0000  0.01
Y: 0.5000 0.5000 0.5000  0.01
O: 0.8206 0.5148 0.6943  0.10
O: 0.5148 0.6943 0.8206  0.10
O: 0.6943 0.8206 0.5148  0.10
O: 0.3057 0.8206 0.1263  0.10
Pb: 0.5000 0.5000 0.0000  0.12
Y: 0.0000 0.5000 0.0000  0.01


Entry 2:
Entry from Alexandria via LeMat-Bulk: a geometry-optimized MgH3Ir3 structure (PBE).

Output
symmetry	Amm2
D(E_F)	2.985	states/eV per cell
calculated volume	69.23	Å³ per cell
energy above the most stable polymorph in this dataset	0.022	eV/atom
crystal system	orthorhombic
magnetic moment	0.0	μB per cell

Cell lengths 4.0693, 4.0698, 4.1817 Å; angles 90.00, 90.00, 91.47 degrees
Atoms (fractional coordinates):
H: 0.1844 0.8352 0.2310
H: 0.5344 0.4850 0.4757
Ir: 0.7511 0.7898 0.2308
Ir: 0.7753 0.2436 0.7307
Ir: 0.2296 0.2682 0.2308
Mg: 0.2346 0.7835 0.7312
H: 0.5346 0.4850 0.9859


Entry 3:
Entry from Alexandria via LeMat-Bulk: a geometry-optimized K2CoSi structure (PBE).

Output
symmetry	C2/m
D(E_F)	2.325	states/eV per cell
energy relative to the elements, uncorrected	101	kJ/mol of formula units
calculated volume	107.42	Å³ per cell
crystal system	monoclinic
magnetic moment	0.1	μB per cell

Cell lengths 10.2088, 10.2088, 3.7233 Å; angles 79.56, 79.56, 16.35 degrees
Each line ends with the local moment (μB).
Atoms (fractional coordinates):
K: 0.8978 0.8978 0.1030  0.00
Co: 0.2500 0.2500 0.2500  0.15
Si: 0.7500 0.7500 0.7500  0.00
K: 0.6022 0.6022 0.3970  0.00


Entry 4:
Entry from Alexandria via LeMat-Bulk: a geometry-optimized AlC3O structure (PBE).

Output
symmetry	Pm-3m
D(E_F)	2.323	states/eV per cell
energy relative to the elements, uncorrected	1312	kJ/mol of formula units
calculated volume	46.70	Å³ per cell
energy above the most stable polymorph in this dataset	0.000	eV/atom
crystal system	cubic
magnetic moment	0.0	μB per cell

Cell lengths 3.6011, 3.6011, 3.6011 Å; angles 90.00, 90.00, 90.00 degrees
Atoms (fractional coordinates):
C: 0.0000 0.5000 0.0000
Al: 0.5000 0.5000 0.5000
O: 0.0000 0.0000 0.0000
C: 0.5000 0.0000 0.0000
C: 0.0000 0.0000 0.5000


Entry 5:
Entry from Alexandria via LeMat-Bulk: a geometry-optimized Y2CuBr structure (PBE).

Output
symmetry	Imm2

Providing more specifics, S. Gonzalez Flavell, a former Special Assistant (retired) to the Director General of Evaluation and Senior Counsel WBG Legal Department told IPS:

“I was a disabled staff member under the World Banks self-funded disability program for over eighteen months. The experience was significantly demeaning and disturbing, my status carried stigma and it was made clear to me by numerous Bank Senior Management staff that my career and professional reputation would be adversely affected.

The program lacks clarity in requirements and transparency in application, and I repeatedly had to require procedures to be correctly followed, actions were taken by the Disability Administrator that would have been unlawful had any of the US protective laws for disabled persons applied and a copy of the operating guidelines applying to the program was denied to me despite reasonable request.

The disability administrator did not act in accordance with known disclosed program requirements and instead made arbitrary decisions capriciously without respect for my health or concern for me, my treating physicians treatment plan or my recovery and return to work.

The Bank’s HR team, which should have overseen the Disability Administrator’s actions, acted throughout as if my health and disability could be ignored, intrusively asking me to attend work meetings, attempting to have me present for interviews (at a time I could not work) incorrectly applied its own benefits rules (erroneously denying me 30% benefits which I had to fight through the justice system before they corrected)and leave rules and even allowed my job to be affected and declared my position redundant while

I was on disability (again disallowed under US law). Despite my health issues I had to take on HR to prevent financial benefits and career and leave abuse significantly affecting my health wellness and recovery.

On return to work I, as I knew had happened to many other returning disabled staff, faced hostility and retaliation every effort was made to exclude me and deny any right to reintegration with the work force.

Having discussed and now researched several disability programs, including those of other international organisations , including with disabled persons, the World Bank’s disability program remains the most lacking in integrity, compassion or equitable treatment and that it continues to exist in its current form is a failure to care adequately for staff from whom it demands so much, a failure to understand sound management and the hard realities faced by disabled staff and , without recourse to an independent grievance redress system, is an abuse of human rights,” he declared.

Meanwhile, the World Bank Group has raised USD 82 billion for IDA19 (International Development Association, member of the WBG) to support the world’s poorest and most vulnerable countries with a particular focus on disability

The Disability Support Group said IDA19 will do more to expand equitable opportunities for people with disabilities.” Disability is therefore a major focus of this IDA19 replenishment, with World Bank seeking funding from donor countries because “investing in people, and especially in people with disabilities who are often poor, is also critical to [sustainable development goals] progress” (https://ida.worldbank.org/replenishments/ida19)

“Yet what the World Bank fails to disclose to donors who are asked to dish out USD 82 billion, is that the World Bank itself has a very poor track record with its own disabled staff”’, says the Group.

In the past three years, there have been a record number of complaints and problems with the World Bank’s Disability and Workers Compensation programs, which the World Bank has conveniently ignored, it says.

_Attached: records of crystals_
+++
Run P
DFT (GGA-PBE) results for crystalline CrOsC3 at its relaxed geometry.

Values from the calculation:
For the magnetization, the calculation gives 0.008 μB/cell.

a b c (Å): 3.7452 3.7452 3.7452
angles (deg): 90.00 90.00 90.00
With the nearest neighbours (Å) after each atom.
Element x y z (fractional)
Cr: 0.0000 0.0000 0.0000  6 C 1.87
C: 0.0000 0.5000 0.0000  2 Cr 1.87
C: 0.0000 0.0000 0.5000  2 Cr 1.87
C: 0.5000 0.0000 0.0000  2 Cr 1.87
Os: 0.5000 0.5000 0.5000  12 C 2.65

Run Q
DFT (GGA-PBE) results for crystalline CrOsC3 at its relaxed geometry.

Values from the calculation:
For the magnetization, the calculation gives 0.270 μB/cell.

a b c (Å): 3.9381 3.9381 3.9381
angles (deg): 90.00 90.00 90.00
With the nearest neighbours (Å) after each atom.
Element x y z (fractional)
Cr: 0.5000 0.5000 0.5000  12 C 2.78
C: 0.0000 0.5000 0.0000  2 Os 1.97
C: 0.0000 0.0000 0.5000  2 Os 1.97
C: 0.5000 0.0000 0.0000  2 Os 1.97
Os: 0.0000 0.0000 0.0000  6 C 1.97

In kJ/mol of atoms, relative to the most stable structure: run P 7.3; run Q 0.0.

Run P
DFT (GGA-PBE) results for crystalline CrOs3C at its relaxed geometry.

Values from the calculation:
For the magnetization, the calculation gives 0.107 μB/cell.

a b c (Å): 4.4162 4.4162 4.4162
angles (deg): 90.00 90.00 90.00
With the nearest neighbours (Å) after each atom.
Element x y z (fractional)
Cr: 0.0000 0.0000 0.0000  6 Os 2.21
C: 0.5000 0.5000 0.5000  12 Os 3.12
Os: 0.0000 0.5000 0.0000  2 Cr 2.21
Os: 0.0000 0.0000 0.5000  2 Cr 2.21
Os: 0.5000 0.0000 0.0000  2 Cr 2.21

Run Q
DFT (GGA-PBE) results for crystalline CrOs3C at its relaxed geometry.

Values from the calculation:
For the magnetization, the calculation gives 0.000 μB/cell.

a b c (Å): 4.0113 4.0113 4.0113
angles (deg): 90.00 90.00 90.00
With the nearest neighbours (Å) after each atom.
Element x y z (fractional)
Cr: 0.5000 0.5000 0.5000  12 Os 2.84
C: 0.0000 0.0000 0.0000  6 Os 2.01
Os: 0.0000 0.5000 0.0000  2 C 2.01
Os: 0.0000 0.0000 0.5000  2 C 2.01
Os: 0.5000 0.0000 0.0000  2 C 2.01

In kJ/mol of atoms, relative to the most stable structure: run P 239.4; run Q 0.0.

Run P
DFT (GGA-PBE) results for crystalline Cr2Os2C at its relaxed geometry.

Values from the calculation:
For the magnetization, the calculation gives 0.000 μB/cell.

a b c (Å): 2.9925 2.9925 7.1577
angles (deg): 77.93 77.93 90.00
With the nearest neighbours (Å) after each atom.
Element x y z (fractional)
Cr: 0.7500 0.2500 0.5000  4 Cr 2.12
Cr: 0.2500 0.7500 0.5000  4 Cr 2.12
C: 0.0000 0.0000 0.0000  8 Os 2.47
Os: 0.4062 0.4062 0.1877  4 C 2.47, 1 Os 2.57, 4 Cr 2.61
Os: 0.5938 0.5938 0.8123  4 C 2.47, 1 Os 2.57, 4 Cr 2.61

Run Q
DFT (GGA-PBE) results for crystalline Cr2Os2C at its relaxed geometry.

Values from the calculation:
For the magnetization, the calculation gives 0.000 μB/cell.

a b c (Å): 6.9499 6.9499 2.7735
angles (deg): 90.00 90.00 90.00
With the nearest neighbours (Å) after each atom.
Element x y z (fractional)
Cr: 0.1381 0.6381 0.5000  6 Os 2.45-2.48, 1 Cr 2.72
+++

“The number of complaints has risen exponentially, both to the World Bank’s Ombudsman and to the World Bank’s Staff Association, leading the later to retain additional outside counsel to address the flood of complaints.”

Materials data, kept here for reference:
____________
Entry 1:
Crystalline RbH3Au at its relaxed geometry. Source: Alexandria, functional GGA-PBE.

```
RbH3Au
1.0
5.458 0.081 0.212
0.181 7.315 0.433
0.113 0.391 5.004
Rb Au H
2 2 6
direct
0.676 0.476 0.248 Rb
0.174 0.976 0.750 Rb
0.673 0.976 0.250 Au
0.176 0.477 0.748 Au
0.714 0.089 0.506 H
0.422 0.105 0.190 H
0.933 0.346 0.758 H
0.925 0.848 0.310 H
0.418 0.608 0.738 H
0.633 0.864 0.995 H
```

Computed properties:
- Space group: No. 1
- Energy relative to the lowest polymorph listed for this composition: 0 meV/atom

***

Entry 2:
Crystalline NdSm10Sc4 at its relaxed geometry. Source: Alexandria, functional GGA-PBE.

```
NdSm10Sc4
1.0
-1.927 3.161 -6.898
-8.669 -0.451 -2.227
-2.260 8.671 0.162
Sc Sm Nd
4 10 1
direct
0.569 0.137 0.724 Sc
0.294 0.276 0.137 Sc
0.706 0.724 0.863 Sc
0.431 0.863 0.276 Sc
0.679 0.353 0.874 Sm
0.447 0.874 0.647 Sm
0.968 0.126 0.353 Sm
0.553 0.126 0.353 Sm
0.250 0.500 0.500 Sm
0.094 0.353 0.874 Sm
0.750 0.500 0.500 Sm
0.906 0.647 0.126 Sm
0.032 0.874 0.647 Sm
0.321 0.647 0.126 Sm
0.000 0.000 0.000 Nd
```

Computed properties:
- Formation enthalpy at 0 K: 0.55 eV per atom
- Space group: No. 87

***

Entry 3:
Crystalline K2CaInI6 at its relaxed geometry. Source: Alexandria, functional GGA-PBE.

```
K2CaInI6
1.0
-4.247 -7.345 -0.769
3.688 -7.318 2.329
-2.790 -4.080 7.182
K I Ca In
2 6 1 1
direct
0.031 0.031 0.906 K
0.531 0.531 0.408 K
0.173 0.971 0.272 I
0.971 0.584 0.272 I
0.471 0.675 0.769 I
0.584 0.173 0.272 I
0.085 0.471 0.769 I
0.675 0.085 0.769 I
0.820 0.820 0.539 Ca
0.320 0.320 0.039 In
```

Computed properties:
- Space group: No. 146
- Formation energy without anion corrections: -1.16 eV/atom
____________

“The rights of World Bank’s disabled staff are being trampled, as they are bullied and harassed as the World Bank seeks to cut its own costs related to the disabilities of its employees,” the Group declared.


*UN Bureau Chief and Regional Director IPS North America, has been covering the U.N. since the late 1970s. A former deputy news editor of the Sri Lanka Daily News, he was a senior editorial writer on the Hong Kong daily, The Standard. Thalif Deen is a former Director, Foreign Military Markets at Defense Marketing Services (DMS); Senior Defense Analyst at Forecast International; and military editor Middle East/Africa at Jane’s Information Group.